[Input]
# 1
Here is a structure of composition C35H42N2O9PdSe from the Open Molecules 2025 dataset. Energies are from the ωB97M-V functional and the def2-TZVPD basis.

Computed properties:
HOMO-LUMO gap (alpha / beta) (eV): 7.717 / 4.893
F_max (eV/A): 1.7
ΔE to the lowest compared entry with this formula, charge and spin (kcal per mole): 0.7
Spin multiplicity: 5

Each line ends with the Löwdin spin population.
Element x y z (Å)
Pd1 0.710 0.394 -0.417  1.44
Se1 -1.555 1.717 -0.338  0.07
O1 -2.020 -2.827 -2.250  0.00
O2 -0.208 -0.498 1.344  0.38
O3 -2.557 -3.917 -0.473  0.00
O4 2.604 -0.333 -0.630  0.16
O5 4.070 -1.897 -0.083  0.02
O6 0.973 -7.128 0.643  0.00
O7 1.319 2.256 0.689  0.33
O8 0.030 -1.335 -1.337  0.13
O9 2.937 -6.326 0.985  0.00
N1 1.817 -6.257 0.518  0.00
N2 -1.733 -3.448 -1.251  0.00
C1 -1.302 -2.612 3.138  0.02
C2 2.946 -1.569 -0.406  0.01
C3 2.258 -3.897 -0.036  0.00
C4 0.172 -2.791 2.755  0.00
C5 -3.650 0.478 1.133  0.03
C6 1.373 -4.964 0.008  0.00
C7 0.975 4.012 2.227  0.14
C8 -4.241 -0.432 2.047  0.19
C9 3.207 4.518 1.214  0.01
C10 0.512 3.026 1.253  0.09
C11 -6.066 1.060 2.835  0.01
C12 -0.325 -3.598 -0.887  0.01
C13 -3.420 -1.373 2.658  -0.01
C14 0.060 -4.819 -0.393  0.00
C15 -5.735 -0.344 2.300  0.02
C16 -2.137 5.193 4.937  0.01
C17 -1.803 3.737 1.666  0.02
C18 -1.371 -2.350 4.654  0.01
C19 2.738 5.245 3.541  0.00
C20 -2.323 5.507 3.443  0.02
C21 -6.216 -1.377 3.319  0.00
C22 0.025 4.760 2.873  -0.01
C23 -2.015 -3.937 2.809  0.01
C24 -2.317 0.452 0.892  0.12
C25 -1.360 4.647 2.642  0.21
C26 -6.477 -0.578 0.974  0.01
C27 -2.006 6.989 3.186  0.01
C28 2.465 4.147 2.509  0.01
C29 -0.913 2.952 0.992  0.17
C30 -2.055 -1.477 2.441  0.19
C31 0.530 -2.455 -0.956  0.01
C32 3.012 2.822 3.071  0.01
C33 -1.445 -0.503 1.551  0.11
C34 1.867 -2.649 -0.482  0.00
C35 -3.784 5.249 3.073  0.00
H1 -5.731 -1.248 4.289  0.00
H2 0.307 -2.941 1.685  0.00
H3 -0.880 -1.409 4.909  0.00
H4 -3.986 5.485 2.026  0.00
H5 -2.398 -2.314 5.019  0.00
H6 3.277 -4.022 0.300  0.00
H7 2.472 2.532 3.975  0.00
H8 -6.241 -1.562 0.565  0.00
H9 -5.539 1.254 3.772  0.00
H10 -0.641 -5.637 -0.320  0.00
H11 -0.854 -3.155 5.179  0.00
H12 -3.875 -2.082 3.332  0.00
H13 -2.693 7.614 3.760  0.00
H14 -1.498 -4.750 3.321  0.00
H15 -7.553 -0.526 1.144  0.00
H16 4.263 4.675 1.441  0.00
H17 0.350 5.478 3.611  0.00
H18 -4.268 1.201 0.617  0.00
H19 0.790 -1.951 3.062  0.00
H20 -7.138 1.136 3.024  0.00
H21 -2.824 5.803 5.526  0.00
H22 4.062 2.957 3.337  0.00
H23 3.136 3.731 0.468  0.00
H24 -4.425 5.886 3.682  0.00
H25 3.814 5.313 3.702  0.00
H26 -6.040 -2.397 2.974  0.00
H27 -1.124 5.409 5.276  0.00
H28 -1.985 -4.140 1.737  0.00
H29 -2.349 4.143 5.145  0.00
H30 -6.220 0.170 0.224  0.00
H31 0.537 -3.685 3.264  0.00
H32 -2.857 3.650 1.444  0.00
H33 -3.055 -3.950 3.136  0.00
H34 -4.073 4.213 3.261  0.00
H35 2.393 6.223 3.199  0.00
H36 -5.799 1.842 2.123  0.00
H37 -2.123 7.235 2.129  0.00
H38 -0.990 7.246 3.485  0.00
H39 2.948 2.015 2.347  0.00
H40 2.276 5.025 4.506  0.00
H41 -7.290 -1.260 3.467  0.00
H42 2.813 5.445 0.792  0.00

=====

# 2
Here is a structure of composition C35H43AuNO5PSb from the Open Molecules 2025 dataset. Energies are from the ωB97M-V functional and the def2-TZVPD basis.

Computed properties:
HOMO-LUMO gap (alpha / beta) (eV): 5.323 / 5.987
F_max (eV/A): 1.6
Charge: +1
Spin multiplicity: 1

Each line ends with the Löwdin charge.
Element x y z (Å)
Au1 -0.542 0.916 0.589  0.89
Sb1 -3.621 0.272 0.430  1.60
P1 1.570 0.836 -0.648  1.07
O1 -1.358 -0.749 1.777  -0.37
O2 4.631 -4.502 3.471  0.10
O3 -1.458 -1.327 3.927  0.10
O4 4.821 -3.861 1.420  0.06
O5 -2.221 -2.096 -0.457  -0.25
N1 4.229 -3.922 2.483  -0.32
C1 3.240 3.083 -0.282  -0.08
C2 2.309 5.237 0.234  -0.05
C3 2.338 -3.077 3.823  0.03
C4 2.060 2.505 -3.506  -0.03
C5 -5.678 2.590 0.354  -0.18
C6 0.828 3.388 -0.222  -0.33
C7 -4.589 0.149 -2.504  -0.17
C8 -4.713 -0.338 2.194  -0.37
C9 3.528 -0.181 1.053  -0.29
C10 3.415 4.425 0.031  -0.05
C11 5.319 -1.617 0.276  -0.07
C12 -2.281 -3.515 -0.613  -0.12
[Work order]
It remains to give back the listing further up from the line with "C12 -0.325" to the end with every line break kept.
[Here it is]
C12 -0.325 -3.598 -0.887  0.01
C13 -3.420 -1.373 2.658  -0.01
C14 0.060 -4.819 -0.393  0.00
C15 -5.735 -0.344 2.300  0.02
C16 -2.137 5.193 4.937  0.01
C17 -1.803 3.737 1.666  0.02
C18 -1.371 -2.350 4.654  0.01
C19 2.738 5.245 3.541  0.00
C20 -2.323 5.507 3.443  0.02
C21 -6.216 -1.377 3.319  0.00
C22 0.025 4.760 2.873  -0.01
C23 -2.015 -3.937 2.809  0.01
C24 -2.317 0.452 0.892  0.12
C25 -1.360 4.647 2.642  0.21
C26 -6.477 -0.578 0.974  0.01
C27 -2.006 6.989 3.186  0.01
C28 2.465 4.147 2.509  0.01
C29 -0.913 2.952 0.992  0.17
C30 -2.055 -1.477 2.441  0.19
C31 0.530 -2.455 -0.956  0.01
C32 3.012 2.822 3.071  0.01
C33 -1.445 -0.503 1.551  0.11
C34 1.867 -2.649 -0.482  0.00
C35 -3.784 5.249 3.073  0.00
H1 -5.731 -1.248 4.289  0.00
H2 0.307 -2.941 1.685  0.00
H3 -0.880 -1.409 4.909  0.00
H4 -3.986 5.485 2.026  0.00
H5 -2.398 -2.314 5.019  0.00
H6 3.277 -4.022 0.300  0.00
H7 2.472 2.532 3.975  0.00
H8 -6.241 -1.562 0.565  0.00
H9 -5.539 1.254 3.772  0.00
H10 -0.641 -5.637 -0.320  0.00
H11 -0.854 -3.155 5.179  0.00
H12 -3.875 -2.082 3.332  0.00
H13 -2.693 7.614 3.760  0.00
H14 -1.498 -4.750 3.321  0.00
H15 -7.553 -0.526 1.144  0.00
H16 4.263 4.675 1.441  0.00
H17 0.350 5.478 3.611  0.00
H18 -4.268 1.201 0.617  0.00
H19 0.790 -1.951 3.062  0.00
H20 -7.138 1.136 3.024  0.00
H21 -2.824 5.803 5.526  0.00
H22 4.062 2.957 3.337  0.00
H23 3.136 3.731 0.468  0.00
H24 -4.425 5.886 3.682  0.00
H25 3.814 5.313 3.702  0.00
H26 -6.040 -2.397 2.974  0.00
H27 -1.124 5.409 5.276  0.00
H28 -1.985 -4.140 1.737  0.00
H29 -2.349 4.143 5.145  0.00
H30 -6.220 0.170 0.224  0.00
H31 0.537 -3.685 3.264  0.00
H32 -2.857 3.650 1.444  0.00
H33 -3.055 -3.950 3.136  0.00
H34 -4.073 4.213 3.261  0.00
H35 2.393 6.223 3.199  0.00
H36 -5.799 1.842 2.123  0.00
H37 -2.123 7.235 2.129  0.00
H38 -0.990 7.246 3.485  0.00
H39 2.948 2.015 2.347  0.00
H40 2.276 5.025 4.506  0.00
H41 -7.290 -1.260 3.467  0.00
H42 2.813 5.445 0.792  0.00

=====

# 2
Here is a structure of composition C35H43AuNO5PSb from the Open Molecules 2025 dataset. Energies are from the ωB97M-V functional and the def2-TZVPD basis.

Computed properties:
HOMO-LUMO gap (alpha / beta) (eV): 5.323 / 5.987
F_max (eV/A): 1.6
Charge: +1
Spin multiplicity: 1

Each line ends with the Löwdin charge.
Element x y z (Å)
Au1 -0.542 0.916 0.589  0.89
Sb1 -3.621 0.272 0.430  1.60
P1 1.570 0.836 -0.648  1.07
O1 -1.358 -0.749 1.777  -0.37
O2 4.631 -4.502 3.471  0.10
O3 -1.458 -1.327 3.927  0.10
O4 4.821 -3.861 1.420  0.06
O5 -2.221 -2.096 -0.457  -0.25
N1 4.229 -3.922 2.483  -0.32
C1 3.240 3.083 -0.282  -0.08
C2 2.309 5.237 0.234  -0.05
C3 2.338 -3.077 3.823  0.03
C4 2.060 2.505 -3.506  -0.03
C5 -5.678 2.590 0.354  -0.18
C6 0.828 3.388 -0.222  -0.33
C7 -4.589 0.149 -2.504  -0.17
C8 -4.713 -0.338 2.194  -0.37
C9 3.528 -0.181 1.053  -0.29
C10 3.415 4.425 0.031  -0.05
C11 5.319 -1.617 0.276  -0.07
C12 -2.281 -3.515 -0.613  -0.12